Brief:
Return everything underneath character by character, please.

Entries:
........
Computed powder XRD pattern of Sr5B3ClO9 for Cu Ka, from a structure optimized by DFT (GGA-PBE).
Peak positions follow from Bragg's law for the DFT cell and can differ from measured ones.

Cell and atoms:
```
data_Sr5B3ClO9
_chemical_formula_sum 'Sr20 B12 Cl4 O36'
_space_group_name_H-M_alt 'C 2 2 21'
_space_group_IT_number 20
_cell_length_a 10.0871
_cell_length_b 14.4385
_cell_length_c 7.4786
_cell_angle_alpha 90.00
_cell_angle_beta 90.00
_cell_angle_gamma 90.00
loop_
_space_group_symop_operation_xyz
'x,y,z'
'-x,-y,z+1/2'
'x,-y,-z'
'-x,y,-z+1/2'
'x+1/2,y+1/2,z'
'-x+1/2,-y+1/2,z+1/2'
'x+1/2,-y+1/2,-z'
'-x+1/2,y+1/2,-z+1/2'
loop_
_atom_site_label
_atom_site_fract_x
_atom_site_fract_y
_atom_site_fract_z
Sr1 0.0000 0.1357 0.2500
Sr2 0.0000 0.1378 0.7500
Sr3 0.1328 0.3709 0.9357
Sr4 0.2384 0.5000 0.5000
B1 0.1296 0.0000 0.5000
B2 0.1979 0.2880 0.5289
Cl1 0.0000 0.4475 0.2500
O1 0.0094 0.0000 0.0000
O2 0.1190 0.3533 0.6130
O3 0.1464 0.2010 0.4880
O4 0.1690 0.1914 0.9895
O5 0.1956 0.0014 0.3376
```

The 10 most intense peaks (2θ = 10–90°), in order of rising 2θ:
hkl 1 3 1, 3.756 Å, 23.69 deg, I 34
hkl 1 1 2, 3.407 Å, 26.15 deg, I 29
hkl 3 1 0, 3.275 Å, 27.23 deg, I 24
hkl 2 0 2, 3.003 Å, 29.76 deg, I 100
hkl 2 4 0, 2.935 Å, 30.45 deg, I 40
hkl 1 3 2, 2.834 Å, 31.57 deg, I 57
hkl 3 3 0, 2.756 Å, 32.48 deg, I 32
hkl 2 4 1, 2.732 Å, 32.78 deg, I 35
hkl 1 5 1, 2.601 Å, 34.48 deg, I 39
hkl 4 4 2, 1.809 Å, 50.44 deg, I 40

~~~~~

Starting from a cell relaxed with PBE, the XRD peak list of TbTi3 was computed for Cu Kα (weighted mean of Kα1 and Kα2).
Intensities are scaled so that the largest is 100.

Peak list (8 most intense, 10 to 90 degrees two-theta, in order of rising 2θ)
2θ = 16.00°, I = 25, (0 0 1); 2θ = 18.43°, I = 28, (0 1 0); 2θ = 24.50°, I = 41, (0 1 1); 2θ = 33.25°, I = 41, (1 0 1); 2θ = 37.36°, I = 37, (0 2 0); 2θ = 37.46°, I = 61, (0 1 2); 2θ = 38.28°, I = 100, (1 1 1); 2θ = 72.88°, I = 25, (2 2 0)

Structural model:
abc: 3.085 4.814 5.539
angles: 90.00 90.00 90.00
Space group Pmm2 (No. 25)
One atom of each set of equivalent atoms:
Tb 0.000 0.000 0.000 x1
Ti 0.000 0.500 0.651 x1
Ti 0.500 0.000 0.496 x1
Ti 0.500 0.500 0.222 x1

~~~~~

[1]
The following is a simulated powder X-ray diffraction pattern of MgMn4Cd2O8. It was derived from a GGA+U-relaxed structure, using Cu Kα (weighted mean of Kα1 and Kα2).
No peak broadening, texture or thermal motion is included.

Structural model:
Lattice parameters (Å, degrees): 5.9666 6.4188 6.5165 61.93 62.77 89.84
Space group P1 (No. 1)
One atom of each set of equivalent atoms:
1 Mg 0.0000 0.0000 0.0000
2 Mn 0.4433 0.4419 0.1145
3 Mn 0.4528 0.9340 0.0956
4 Mn 0.4662 0.9544 0.5680
5 Mn 0.9657 0.9545 0.5679
6 Cd 0.0144 0.4701 0.9713
7 Cd 0.7717 0.5031 0.4624
8 O 0.1884 0.1637 0.1155
9 O 0.1954 0.7066 0.0859
10 O 0.2068 0.1537 0.5828
11 O 0.2300 0.7682 0.5407
12 O 0.6788 0.7176 0.6457
13 O 0.6810 0.1161 0.6371
14 O 0.6950 0.1655 0.1154
15 O 0.7207 0.7072 0.0870

Top 10 peaks for 15 to 90 degrees two-theta, most intense first:
| 2θ (°) | intensity | hkl |
| --- | --- | --- |
| 36.51 | 100 | 0 0 2 |
| 32.85 | 90 | 0 2 0 |
| 20.33 | 72 | 1 -1 0 |
| 33.82 | 70 | 0 2 2 |
| 27.00 | 69 | 1 1 0 |
| 31.04 | 67 | 1 0 -1 |
| 27.58 | 65 | 1 1 2 |
| 33.23 | 62 | 1 2 2 |
| 29.95 | 61 | 2 0 1 |
| 34.31 | 59 | 2 -1 1 |

***

[2]
The following is a simulated powder X-ray diffraction pattern of NiH2SO5. It was derived from a GGA+U-relaxed structure, using Cu Kα (weighted mean of Kα1 and Kα2).
No peak broadening, texture or thermal motion is included.

Structural model:
Lattice parameters (Å, degrees): 6.8555 7.6526 7.4892 90.00 116.43 90.00
Space group C2/c (No. 15)
One atom of each set of equivalent atoms:
1 Ni 0.2500 0.2500 0.0000
2 H 0.0869 0.0424 0.7029
3 S 0.0000 0.4073 0.2500
4 O 0.0000 0.1181 0.7500
5 O 0.0197 0.2969 0.0972
6 O 0.1988 0.4792 0.8439

Top 10 peaks for 15 to 90 degrees two-theta, most intense first:
| 2θ (°) | intensity | hkl |
| --- | --- | --- |
| 26.36 | 100 | 1 1 1 |
........

Outcome:
Computed powder XRD pattern of Sr5B3ClO9 for Cu Ka, from a structure optimized by DFT (GGA-PBE).
Peak positions follow from Bragg's law for the DFT cell and can differ from measured ones.

Cell and atoms:
```
data_Sr5B3ClO9
_chemical_formula_sum 'Sr20 B12 Cl4 O36'
_space_group_name_H-M_alt 'C 2 2 21'
_space_group_IT_number 20
_cell_length_a 10.0871
_cell_length_b 14.4385
_cell_length_c 7.4786
_cell_angle_alpha 90.00
_cell_angle_beta 90.00
_cell_angle_gamma 90.00
loop_
_space_group_symop_operation_xyz
'x,y,z'
'-x,-y,z+1/2'
'x,-y,-z'
'-x,y,-z+1/2'
'x+1/2,y+1/2,z'
'-x+1/2,-y+1/2,z+1/2'
'x+1/2,-y+1/2,-z'
'-x+1/2,y+1/2,-z+1/2'
loop_
_atom_site_label
_atom_site_fract_x
_atom_site_fract_y
_atom_site_fract_z
Sr1 0.0000 0.1357 0.2500
Sr2 0.0000 0.1378 0.7500
Sr3 0.1328 0.3709 0.9357
Sr4 0.2384 0.5000 0.5000
B1 0.1296 0.0000 0.5000
B2 0.1979 0.2880 0.5289
Cl1 0.0000 0.4475 0.2500
O1 0.0094 0.0000 0.0000
O2 0.1190 0.3533 0.6130
O3 0.1464 0.2010 0.4880
O4 0.1690 0.1914 0.9895
O5 0.1956 0.0014 0.3376
```

The 10 most intense peaks (2θ = 10–90°), in order of rising 2θ:
hkl 1 3 1, 3.756 Å, 23.69 deg, I 34
hkl 1 1 2, 3.407 Å, 26.15 deg, I 29
hkl 3 1 0, 3.275 Å, 27.23 deg, I 24
hkl 2 0 2, 3.003 Å, 29.76 deg, I 100
hkl 2 4 0, 2.935 Å, 30.45 deg, I 40
hkl 1 3 2, 2.834 Å, 31.57 deg, I 57
hkl 3 3 0, 2.756 Å, 32.48 deg, I 32
hkl 2 4 1, 2.732 Å, 32.78 deg, I 35
hkl 1 5 1, 2.601 Å, 34.48 deg, I 39
hkl 4 4 2, 1.809 Å, 50.44 deg, I 40

~~~~~

Starting from a cell relaxed with PBE, the XRD peak list of TbTi3 was computed for Cu Kα (weighted mean of Kα1 and Kα2).
Intensities are scaled so that the largest is 100.

Peak list (8 most intense, 10 to 90 degrees two-theta, in order of rising 2θ)
2θ = 16.00°, I = 25, (0 0 1); 2θ = 18.43°, I = 28, (0 1 0); 2θ = 24.50°, I = 41, (0 1 1); 2θ = 33.25°, I = 41, (1 0 1); 2θ = 37.36°, I = 37, (0 2 0); 2θ = 37.46°, I = 61, (0 1 2); 2θ = 38.28°, I = 100, (1 1 1); 2θ = 72.88°, I = 25, (2 2 0)

Structural model:
abc: 3.085 4.814 5.539
angles: 90.00 90.00 90.00
Space group Pmm2 (No. 25)
One atom of each set of equivalent atoms:
Tb 0.000 0.000 0.000 x1
Ti 0.000 0.500 0.651 x1
Ti 0.500 0.000 0.496 x1
Ti 0.500 0.500 0.222 x1

~~~~~

[1]
The following is a simulated powder X-ray diffraction pattern of MgMn4Cd2O8. It was derived from a GGA+U-relaxed structure, using Cu Kα (weighted mean of Kα1 and Kα2).
No peak broadening, texture or thermal motion is included.

Structural model:
Lattice parameters (Å, degrees): 5.9666 6.4188 6.5165 61.93 62.77 89.84
Space group P1 (No. 1)
One atom of each set of equivalent atoms:
1 Mg 0.0000 0.0000 0.0000
2 Mn 0.4433 0.4419 0.1145
3 Mn 0.4528 0.9340 0.0956
4 Mn 0.4662 0.9544 0.5680
5 Mn 0.9657 0.9545 0.5679
6 Cd 0.0144 0.4701 0.9713
7 Cd 0.7717 0.5031 0.4624
8 O 0.1884 0.1637 0.1155
9 O 0.1954 0.7066 0.0859
10 O 0.2068 0.1537 0.5828
11 O 0.2300 0.7682 0.5407
12 O 0.6788 0.7176 0.6457
13 O 0.6810 0.1161 0.6371
14 O 0.6950 0.1655 0.1154
15 O 0.7207 0.7072 0.0870

Top 10 peaks for 15 to 90 degrees two-theta, most intense first:
| 2θ (°) | intensity | hkl |
| --- | --- | --- |
| 36.51 | 100 | 0 0 2 |
| 32.85 | 90 | 0 2 0 |
| 20.33 | 72 | 1 -1 0 |
| 33.82 | 70 | 0 2 2 |
| 27.00 | 69 | 1 1 0 |
| 31.04 | 67 | 1 0 -1 |
| 27.58 | 65 | 1 1 2 |
| 33.23 | 62 | 1 2 2 |
| 29.95 | 61 | 2 0 1 |
| 34.31 | 59 | 2 -1 1 |

***

[2]
The following is a simulated powder X-ray diffraction pattern of NiH2SO5. It was derived from a GGA+U-relaxed structure, using Cu Kα (weighted mean of Kα1 and Kα2).
No peak broadening, texture or thermal motion is included.

Structural model:
Lattice parameters (Å, degrees): 6.8555 7.6526 7.4892 90.00 116.43 90.00
Space group C2/c (No. 15)
One atom of each set of equivalent atoms:
1 Ni 0.2500 0.2500 0.0000
2 H 0.0869 0.0424 0.7029
3 S 0.0000 0.4073 0.2500
4 O 0.0000 0.1181 0.7500
5 O 0.0197 0.2969 0.0972
6 O 0.1988 0.4792 0.8439

Top 10 peaks for 15 to 90 degrees two-theta, most intense first:
| 2θ (°) | intensity | hkl |
| --- | --- | --- |
| 26.36 | 100 | 1 1 1 |